Slavedrivers Of The Realm Of Silver
Slavedrivers have always been naturally of the realm of iron – or so it seems. The whips and chains and other sadomasochistic accoutrements of the slavedriver all appear induced to cause physical suffering. As this essay will explain, however, there is an entire niche of people adapted to do the same thing, only they use […]
Read more..January 15, 2020
1974: The End of the World
### Records of molecules, kept here for reference
+++
(1)
DFT (the ωB97M-V functional and the def2-TZVPD basis) results for an isolated ion of composition C5H11N2O and charge +1 at a distorted geometry.

ORCA input file:
```
! wB97M-V def2-TZVPD RIJCOSX def2/J DEFGRID3
* xyz 1 3
H 1.294 0.834 0.328
H 3.457 1.018 1.134
H -3.811 0.221 0.366
H -3.299 -1.483 0.172
H 4.379 0.790 -0.354
N -1.739 -0.074 -0.151
C -3.001 -0.432 0.446
C -1.635 1.089 -0.789
N 0.547 -1.009 -0.222
H -2.773 -0.397 1.500
H -1.122 -2.006 0.391
C 1.508 -0.157 -0.022
O 2.767 -0.478 -0.266
C 3.813 0.331 0.383
H -0.822 1.626 -1.097
H 4.228 -0.485 0.915
H -2.521 1.767 -0.576
H 0.980 -1.893 -0.250
C -0.825 -1.122 -0.092
*
```

## Properties
Gap between HOMO and LUMO (spin up / spin down) (eV): 6.34 / 10.10
Electronic energy (eV): -10379.2696
Relative energy (zero: lowest compared OMol25 entry of this formula, charge and spin) (eV): 2.950

(2)
DFT (the ωB97M-V functional and the def2-TZVPD basis) results for a 2-piece molecular cluster, C5H11N2OP overall at a distorted geometry.

ORCA input file:
```
! wB97M-V def2-TZVPD RIJCOSX def2/J DEFGRID3
* xyz 0 1
H 1.926 2.150 -1.933
H -1.238 -0.343 -2.577
C -0.435 -1.252 1.845
H 2.756 -0.006 -0.448
H -2.560 -1.369 -1.583
H -0.608 -0.044 3.539
P -0.785 0.974 0.089
C 1.230 1.346 -1.623
H -0.647 -1.616 -1.596
H 0.259 -1.782 1.200
N 0.942 1.223 -0.240
C -0.080 -0.038 2.594
H 1.239 -0.699 -1.074
H 0.899 0.476 2.527
O -1.387 2.299 0.311
N -0.967 0.025 1.536
H -1.234 -1.756 2.344
C 1.743 0.173 -0.858
C -1.471 -1.024 -1.712
H 0.419 1.264 -2.341
*
```

## Properties
Gap between HOMO and LUMO (eV): 8.20
Electronic energy (eV): -19675.3538
Relative energy (zero: lowest compared OMol25 entry of this formula, charge and spin) (eV): 2.599

=====

[1]
12
Properties=species:S:1:pos:R:3:forces:R:3:lowdin_spin:R:1 method="wB97M-V/def2-TZVPD" mol_weight_g_mol=265.9 largest_force_ev_per_a=3.30 multiplicity=3 e_above_lowest_ev=1.136 orbital_gap_ev="4.73 / 5.37" total_charge=+2 e_homo_ev="-13.433 / -14.050" energy_ha=-1404.3169
O 3.036 -0.158 -0.404 0.37 0.62 1.21 0.14
C 1.739 0.240 -0.414 2.66 1.29 0.87 0.24
C 0.694 -0.513 -0.013 -3.27 -0.47 0.03 0.16
Tm 4.919 0.128 0.971 -2.09 -0.38 -1.62 1.02
Li -0.361 -2.144 -0.505 0.15 -0.30 0.09 0.01
H 1.647 1.345 -0.487 -0.03 -0.39 -0.38 0.01
C -1.769 -0.355 0.484 -2.92 -0.36 0.97 0.14
C -0.640 0.115 -0.126 2.85 0.64 -1.24 0.11
O -2.978 0.144 0.429 2.58 -0.75 -0.15 0.18
H -1.650 -1.257 1.130 -0.16 0.33 -0.13 0.00
H -0.779 1.012 -0.759 0.10 -0.25 0.28 0.00
Li -3.859 1.443 -0.304 -0.24 0.03 0.08 0.00

[2]
8
Properties=species:S:1:pos:R:3:forces:R:3:nbo_charge:R:1 method="wB97M-V/def2-TZVPD" mol_weight_g_mol=65.1 largest_force_ev_per_a=6.52 e_above_lowest_ev=0.604 orbital_gap_ev=11.27 e_homo_ev=-10.650 energy_ha=-208.8796
C -0.237 -1.504 0.092 -1.74 1.78 -0.69 -0.69
C -0.030 -0.068 -0.123 0.56 -5.86 0.57 0.15
C 0.125 1.074 -0.069 1.39 6.35 0.60 -0.18
C 0.535 2.417 0.007 -1.20 -2.55 -0.86 0.24
N 0.799 3.491 -0.255 0.63 1.92 0.19 -0.26
H -1.263 -1.475 -0.271 -0.56 -1.20 0.34 0.25
+++
### Back to the entry
By Anarchist History of New Zealand
This day in history, 24 January 1974, the fixture suspending the great globe at Canterbury Museum gave out. The plaster sphere of the world exited its low orbit where it had been since 1957 and smooshed into the floor. And this happened on the exact same day the Christchurch Commonwealth Games began. After 16 years it […]
Read more..January 14, 2020
The Government, Media and Police Work Together To Suppress The Kiwi People
Many New Zealanders were shocked yesterday by the news that Right Minds columnist Dieuwe de Boer had been raided by Police, ostensibly to look for a now-banned magazine for a .22 rifle. As this essay will show, the true reason for the Police raid was as part of a wider effort to suppress dissent – […]
Read more..January 12, 2020
Social Programs vs Socialism
The difference between socialism and social programs. A social program, properly speaking, is generated by and run by the people it is there to support. It is Localism, it is needed, it is eternal. Socialism is when The State comes in and takes it over. They run it top-down from an office in Wellington or […]
Read more..January 10, 2020
Victimhood Inflation
Victimhood Cultists are running out of things to eat. At first they solve actual problems as nature intended. They open doors for little old ladies, they help the blind to see. But what does an SJW do after they’ve build wheelchair ramps to everything? Rest? Retire? Quit? Be satisfied? Stop being Victimhood Culture? Hell no! Victims […]
Read more..January 9, 2020
There’s Nothing As Profitable As Human Suffering
Everyone’s trying to figure out quick ways to make a buck. The world today is so complicated, however, that it’s not easy to see where the potential for generating profits lies. As this essay will elucidate, there’s one easy rule that one can follow to find wealth: there’s nothing in the wide world as profitable […]
Someone pasted quantum chemistry results at this point.
- - -
P.
Density functional theory data (the ωB97M-V functional and the def2-TZVPD basis) for a single C15H22N2O4 molecule.

Last column: Löwdin charge in e.
Cartesian coordinates (Å):
O  0.05  1.42  1.23  0.0651
C  -0.50  0.58  0.53  -0.4502
N  0.18  -0.39  -0.11  0.1182
C  1.62  -0.50  -0.03  -0.2036
C  2.01  -1.35  1.17  -0.1912
O  3.42  -1.42  1.23  -0.0355
C  2.08  -1.16  -1.33  -0.3804
O  1.39  -2.00  -1.88  0.0785
N  3.30  -0.80  -1.83  -0.0318
C  3.54  -0.84  -3.28  -0.0941
C  3.88  0.62  -3.63  -0.1189
C  3.65  1.34  -2.30  -0.1594
O  3.91  0.34  -1.31  -0.0722
C  -2.00  0.58  0.33  -0.1805
C  -2.85  0.69  1.63  -0.0387
C  -3.66  1.79  0.94  -0.3421
C  -2.61  1.93  -0.15  -0.0382
C  -5.16  1.77  0.73  0.0095
C  -4.51  2.82  1.55  -0.3781
C  -4.66  3.42  2.89  -0.0635
C  -4.50  4.30  1.65  -0.0636
H  -0.29  -1.07  -0.69  0.1362
H  2.05  0.50  0.08  0.1489
H  1.59  -0.86  2.06  0.1272
H  1.56  -2.34  1.06  0.1313
H  3.68  -1.95  1.99  0.0917
H  4.37  -1.51  -3.50  0.1219
H  2.65  -1.21  -3.76  0.1190
H  4.92  0.71  -3.93  0.1091
H  3.25  1.02  -4.42  0.1112
H  4.33  2.17  -2.11  0.1273
H  2.61  1.69  -2.21  0.1266
H  -2.32  -0.26  -0.29  0.1409
H  -3.38  -0.20  1.94  0.1149
H  -2.25  1.08  2.45  0.1192
H  -1.92  2.75  0.04  0.1196
H  -2.96  1.96  -1.18  0.1144
H  -5.53  2.04  -0.26  0.1064
H  -5.73  1.00  1.23  0.1065
H  -5.63  3.40  3.36  0.0992
H  -3.82  3.37  3.57  0.1003
H  -3.55  4.81  1.52  0.0999
H  -5.36  4.84  1.30  0.0989

Calculated values
LUMO level = 0.7 eV
HOMO = -9.4388 eV
Structure (SMILES) = O=C([C@H](CO)NC(=O)[C@H]1C[C@@]2(C1)C[C@]21CC1)N1CCCO1
Gap between HOMO and LUMO = 10.1750 eV



Q.
Density functional theory data (the ωB97M-V functional and the def2-TZVPD basis) for a single C15H22N2O4 molecule.

Last column: Löwdin charge in e.
Cartesian coordinates (Å):
O  1.03  -1.13  0.72  0.0690
C  0.47  -0.05  0.83  -0.4472
N  -0.89  0.06  0.80  0.1261
C  -1.74  -1.10  0.61  -0.2197
C  -2.01  -1.79  1.93  -0.1883
O  -2.84  -2.91  1.64  -0.0492
C  -3.04  -0.59  -0.01  -0.3829
O  -3.63  0.34  0.48  0.1325
N  -3.30  -1.12  -1.28  -0.0240
C  -3.88  -2.48  -1.31  -0.1378
C  -4.37  -2.54  -2.74  -0.1382
C  -4.92  -1.13  -2.92  -0.1653
O  -4.29  -0.31  -1.92  -0.0779
C  1.22  1.25  0.96  -0.1840
C  2.55  1.20  1.74  -0.0434
C  3.18  2.02  0.62  -0.3462
C  2.01  1.69  -0.30  -0.0348
C  3.81  3.39  0.70  0.0118
C  4.60  2.21  0.28  -0.3714
C  5.78  1.46  0.76  -0.0683
C  5.54  1.68  -0.72  -0.0607
H  -1.34  0.95  0.93  0.1431
H  -1.23  -1.79  -0.07  0.1540
H  -1.06  -2.10  2.37  0.1263
H  -2.51  -1.09  2.60  0.1296
H  -3.01  -3.39  2.46  0.0931
H  -3.12  -3.21  -1.06  0.1262
H  -4.71  -2.55  -0.60  0.1357
H  -3.52  -2.71  -3.41  0.1149
H  -5.11  -3.31  -2.91  0.1151
H  -4.72  -0.71  -3.90  0.1174
H  -6.00  -1.09  -2.72  0.1192
H  0.57  2.05  1.32  0.1432
H  2.56  1.63  2.75  0.1169
H  2.94  0.19  1.77  0.1169
H  2.22  0.84  -0.95  0.1231
H  1.58  2.50  -0.89  0.1144
H  3.47  4.09  -0.06  0.1059
H  4.02  3.83  1.67  0.1075
- - -
Read more..January 8, 2020
1851: The Old Man of New Ulster
By Anarchist History of New Zealand
Today in history, 8 January, 1851, New Ulster lost its first Lieutenant-Governor. Major-General George Dean-Pitt died at the age of 79 (or 70.) He had been politically and militarily in charge of the entire North Island, aka New Ulster, second to Governor George Grey. Born a bastard, George Dean was the son, not not heir, […]
Read more..January 8, 2020
1988: Turn Out Coffee Coloured People By The Score
By Anarchist History of New Zealand
Banned in the UK!? Melting Pot, by New Zealand supergroup When the Cat’s Away. This classic Kiwi cover from 1988 must now be scratched from our airwaves if it’s not to be censored by force. The track played- and now censored- in the UK is the original song from 1969. “in breach of its community radio […]
Read more..January 7, 2020
2010s: New Zealand English Endangered?
By Anarchist History of New Zealand
# Between two parts of the text: quantum chemistry results
- - -
[1]
72
Properties=species:S:1:pos:R:3 method="wB97M-V/def2-TZVPD" lumo_energy_ev=-0.3 homo_energy_ev=-7.70 total_energy_ev=-134795.9996 mol_weight_g_mol=789.08 spin_multiplicity=1
Pd -0.467 0.413 0.639
C -4.946 1.271 3.454
S -3.425 1.056 4.404
C -2.147 0.792 3.218
S -2.553 0.852 1.520
N -1.011 0.586 3.805
N 0.058 0.529 2.982
C 1.050 -0.222 3.225
C 2.078 -0.307 2.166
C 3.379 -0.693 2.463
C 4.325 -0.738 1.452
C 3.943 -0.411 0.162
C 2.621 -0.069 -0.066
N 1.712 -0.017 0.901
H -5.755 0.841 4.040
H -4.889 0.750 2.503
H -5.135 2.327 3.278
H 1.152 -0.830 4.124
H 3.636 -0.944 3.483
H 5.345 -1.028 1.670
H 4.641 -0.438 -0.663
H 2.263 0.146 -1.065
C -2.833 5.434 3.027
C -1.711 4.792 3.531
C -0.905 4.038 2.693
C -1.216 3.923 1.343
C -2.350 4.553 0.842
C -3.151 5.312 1.682
As -0.198 2.719 0.224
C -0.651 3.207 -1.585
C -0.652 4.531 -2.022
C -0.967 4.822 -3.339
C -1.280 3.794 -4.222
C -1.278 2.478 -3.789
C -0.966 2.181 -2.469
C 1.661 3.252 0.405
C 2.306 3.008 1.617
C 3.657 3.282 1.758
C 4.380 3.788 0.685
C 3.747 4.016 -0.526
C 2.392 3.747 -0.669
H -3.463 6.020 3.683
H -1.469 4.863 4.584
H -0.053 3.518 3.112
H -2.624 4.443 -0.200
H -4.032 5.800 1.284
H -0.410 5.332 -1.334
H -0.970 5.850 -3.679
H -1.527 4.025 -5.250
H -1.522 1.677 -4.475
H -0.965 1.151 -2.123
H 1.760 2.571 2.445
H 4.148 3.089 2.703
H 5.437 3.996 0.793
H 4.307 4.402 -1.368
H 1.914 3.917 -1.624
O -0.771 -1.613 0.990
C -0.397 -2.195 -0.088
O -0.031 -1.608 -1.108
C -0.417 -3.701 -0.033
C -1.094 -4.360 0.985
C -1.126 -5.747 1.026
C -0.470 -6.488 0.058
C 0.210 -5.808 -0.941
C 0.241 -4.429 -1.014
N 0.922 -6.589 -1.964
O 0.808 -7.799 -1.935
O 1.582 -5.982 -2.783
H -1.591 -3.771 1.744
H -1.663 -6.255 1.816
H -0.474 -7.567 0.063
H 0.760 -3.920 -1.812



[2]
50
Properties=species:S:1:pos:R:3 method="wB97M-V/def2-TZVPD" lumo_energy_ev=-7.9 homo_energy_ev=-12.75 total_charge=+2 total_energy_ev=-57417.8532 mol_weight_g_mol=628.64 spin_multiplicity=1
Pt -0.523 -0.753 1.588
N -2.405 1.057 -0.942
C -2.394 2.116 -0.021
C -3.262 3.175 0.143
C -2.957 4.093 1.143
C -1.821 3.956 1.938
C -0.953 2.889 1.755
C -1.263 1.970 0.769
N -0.538 0.824 0.374
C -1.273 0.223 -0.713
C 0.826 -0.831 -1.940
C 1.575 -1.193 -3.022
S 2.940 -2.060 -2.511
C 2.419 -1.891 -0.894
N 1.309 -1.235 -0.730
H -3.161 0.852 -1.571
H -4.143 3.291 -0.476
H -3.619 4.932 1.308
H -1.621 4.688 2.707
H -0.072 2.759 2.368
H 1.399 -0.982 -4.065
H 2.989 -2.306 -0.075
N -1.941 -1.844 -2.355
C -1.914 -2.047 -0.972
N -1.610 -1.121 -0.165
C -0.465 0.017 -2.058
C -0.060 1.332 -2.614
C -0.319 1.671 -3.888
C -1.078 0.780 -4.708
C -1.615 -0.407 -4.253
C -1.378 -0.765 -2.933
H -2.444 -2.508 -2.929
H -2.244 -3.018 -0.620
H 0.485 1.984 -1.941
H 0.017 2.613 -4.296
H -1.268 1.064 -5.737
H -2.236 -1.019 -4.895
C 1.716 -3.281 3.246
N 2.476 -2.062 3.511
C 3.844 -2.033 3.727
C 4.183 -0.755 3.994
N 3.014 -0.031 3.931
C 1.975 -0.825 3.637
S 0.320 -0.288 3.634
H 2.391 -4.023 2.831
H 0.929 -3.074 2.526
H 1.275 -3.658 4.166
H 4.446 -2.924 3.692
H 5.134 -0.310 4.224
- - -
# End of the quantum chemistry results
Marcus Lush’s talkback show is so late (this audio from 11pm, 24 October) that he gets real callers rather than the on-message voice actors of prime time radio slots. Here is a fascinating cultural clash between Lush and some indigenous South Islanders. Listen as the Auckland immigrant, Lush, tries to colonise his elders by bullying […]
Read more..January 6, 2020
What It Means To Turn Lead Into Gold
Materialists laugh at the old alchemists because modern science knows that it’s not possible to make money by transmuting lead into gold. The new alchemists laugh at the materialists, because they know that the transmutation of lead into gold is nothing close to what the materialists conceive of it as. This essay explains. The story […]
Read more..January 4, 2020
NZB3 Predicts The 2020s
New Years day is upon us, welcome to a new decade: The 2020s. In these days of r-selected hegemony there aren’t many outspoken people willing to take responsibility for holding strong views at all. Not unless they’re establishment ones! Nor is a long time horizon, an eye to the future, a common trait these days. […]
Read more..January 1, 2020
1936: Savage’s Unconventional Family
By Anarchist History of New Zealand
New Years Day, Ellerslie Races, 1936: I stumbled upon this rare photo (left) of Mrs Elizabeth French standing beside newly elected Prime Minister Savage. I have wondered about Savage’s unconventional home life with his adopted family, the Frenchs. Alfred French crash-landed in 1894 when the SS. Wairarapa disastrously sank on the way to Auckland¹. His […]
Read more..January 1, 2020